Most discussed stories

On Being Offered a Cup of "Grape Juice"

270270 views77 comments11 fav

Calculated molecules, kept here for reference:
/*
{"formula": "C45H70IN3O9P2S", "method": "the ωB97M-V functional and the def2-TZVPD basis", "species": ["C", "C", "C", "C", "C", "C", "C", "N", "C", "C", "C", "I", "C", "S", "C", "O", "C", "C", "P", "N", "C", "P", "C", "C", "C", "C", "C", "O", "C", "C", "C", "N", "C", "C", "C", "C", "O", "H", "H", "H", "H", "H", "H", "H", "H", "H", "H", "H", "H", "H", "H", "H", "H", "H", "H", "H", "H", "H", "H", "H", "H", "H", "H", "H", "H", "H", "H", "H", "H", "H", "H", "C", "C", "C", "O", "H", "H", "H", "H", "H", "H", "C", "C", "C", "O", "H", "H", "H", "H", "H", "H", "C", "C", "C", "O", "H", "H", "H", "H", "H", "H", "C", "C", "C", "O", "H", "H", "H", "H", "H", "H", "C", "C", "C", "O", "H", "H", "H", "H", "H", "H", "C", "C", "C", "O", "H", "H", "H", "H", "H", "H"], "positions_angstrom": [[4.01059, -3.63442, -0.63118], [3.70777, -2.53965, -1.05013], [3.45701, -1.07237, -1.16848], [4.57122, -0.37299, -1.99985], [4.61367, 1.18591, -1.87935], [3.34251, 1.80601, -1.30845], [2.17119, 1.66656, -2.10059], [2.22963, 1.01438, -3.37611], [0.98239, 2.18748, -1.57764], [0.92939, 2.83872, -0.33233], [2.06977, 2.99401, 0.44976], [1.98767, 3.98563, 2.32495], [3.28604, 2.45888, -0.05798], [4.78894, 2.56593, 0.91870], [-0.46330, 3.35466, 0.05239], [-0.59325, 4.49195, 0.42973], [-1.58134, 2.35965, -0.18272], [-2.61527, 2.07302, 0.72131], [-2.53278, 2.97759, 2.34299], [-3.81395, 3.86486, 2.59198], [-3.67747, 1.14946, 0.41420], [-5.06431, 0.86705, 1.59916], [-4.48779, 0.74446, 3.36247], [-5.98567, -0.71843, 1.38642], [-3.60285, 0.54307, -0.88198], [-4.67301, -0.42487, -1.41600], [-4.31250, -1.87719, -0.99056], [-5.44946, -2.70140, -0.80404], [-5.18364, -3.75481, 0.10464], [-4.48569, -4.99828, -0.51416], [-2.52451, 0.80953, -1.78220], [-2.40458, 0.21752, -3.08103], [-1.79629, -1.13796, -3.11400], [-0.99528, -1.51828, -1.85346], [-1.51561, 1.71294, -1.43557], [-0.32875, 2.02815, -2.35104], [-0.40780, 2.15381, -3.54575], [4.02334, -4.71083, -0.45303], [3.26462, -0.60448, -0.19175], [2.51315, -0.97703, -1.73697], [5.52448, -0.85617, -1.73396], [4.37614, -0.62927, -3.05381], [4.73228, 1.59403, -2.89728], [5.51295, 1.46875, -1.31960], [1.62471, 0.19844, -3.36538], [1.89284, 1.66247, -4.08214], [5.41514, 3.71359, 0.55493], [-1.37364, 3.77136, 2.42153], [-2.33914, 1.96796, 3.32767], [-4.42660, 3.78232, 1.78278], [-5.29072, 0.21423, 3.89874], [-4.50336, 1.77397, 3.75859], [-3.51277, 0.26275, 3.49677], [-6.71157, -0.73334, 0.57047], [-5.30112, -1.57547, 1.36280], [-6.56457, -0.84805, 2.31909], [-4.70670, -0.42494, -2.51619], [-5.67268, -0.11909, -1.08766], [-3.76533, -1.79218, -0.02630], [-3.62776, -2.38469, -1.68684], [-6.15085, -4.09851, 0.51255], [-4.58215, -3.42789, 0.97226], [-5.11126, -5.90601, -0.48484], [-3.59678, -5.24574, 0.09481], [-4.14771, -4.85760, -1.55141], [-3.27707, 0.27429, -3.58667], [-2.56126, -1.87961, -3.39437], [-1.06112, -1.13267, -3.94432], [-0.15598, -0.82325, -1.67892], [-1.60525, -1.66241, -0.95458], [-0.51970, -2.49270, -2.07360], [-4.98179, 7.76838, 1.80820], [-5.32097, 7.41100, 0.38349], [-4.19970, 7.47659, -0.62472], [-6.44053, 7.08516, 0.06124], [-5.87365, 7.67794, 2.42568], [-4.21933, 7.08542, 2.18874], [-4.62082, 8.79749, 1.85979], [-3.40434, 6.78390, -0.34243], [-3.80424, 8.49249, -0.67740], [-4.57961, 7.19575, -1.60575], [7.33379, -6.04726, 0.46852], [6.14618, -5.90282, 1.38540], [6.42852, -5.64194, 2.84329], [5.01298, -5.99142, 0.96918], [6.98651, -6.23046, -0.54666], [7.92561, -5.13045, 0.47744], [7.95045, -6.88931, 0.78748], [6.98161, -4.70785, 2.95362], [7.00636, -6.46627, 3.26448], [5.48745, -5.55949, 3.38433], [-2.12390, 0.38362, 7.10389], [-3.46239, -0.27587, 6.88631], [-4.54242, 0.00715, 7.89895], [-3.66136, -1.00138, 5.93691], [-1.44386, 0.09484, 6.30374], [-2.23758, 1.46893, 7.09486], [-1.70126, 0.06391, 8.05777], [-4.75884, 1.07638, 7.92377], [-4.22412, -0.32885, 8.88717], [-5.44840, -0.52837, 7.62042], [3.78034, 3.17970, -7.96539], [3.63310, 1.80901, -7.35094], [2.23350, 1.25487, -7.23513], [4.59370, 1.18283, -6.96803], [4.83356, 3.45399, -7.98684], [3.39687, 3.17381, -8.98700], [3.23646, 3.91570, -7.37073], [1.78402, 1.16485, -8.22528], [1.62469, 1.91000, -6.60845], [2.27357, 0.26756, -6.77758], [-1.83238, -3.39867, 4.19318], [-3.16352, -3.93645, 3.74038], [-4.02655, -4.60193, 4.77974], [-3.52654, -3.83596, 2.58761], [-1.31778, -2.94699, 3.34624], [-1.98402, -2.63816, 4.96150], [-1.21727, -4.20975, 4.58730], [-4.26539, -3.89042, 5.57219], [-3.50634, -5.46470, 5.19938], [-4.95311, -4.94015, 4.31840], [9.73580, 0.55008, -1.64198], [9.10628, -0.62476, -2.35097], [8.26502, -0.32263, -3.56648], [9.26955, -1.75749, -1.96023], [10.31027, 0.19161, -0.78956], [10.40594, 1.08007, -2.32087], [8.95969, 1.22880, -1.28356], [8.87170, 0.16901, -4.32875], [7.42670, 0.31871, -3.28760], [7.87445, -1.25262, -3.97568]], "forces_ev_per_angstrom": [[-0.8, -0.5, -0.9], [0.4, 0.7, 1.3], [-0.2, -0.6, -1.0], [-0.4, -0.3, -0.1], [0.3, -0.2, -0.2], [0.0, -0.4, -0.3], [0.0, 0.6, 1.0], [0.3, 0.3, 0.3], [-0.1, -0.2, -0.4], [-0.7, -0.2, 0.0], [0.3, -0.2, -0.5], [0.0, -0.3, -0.5], [0.1, 0.6, -0.2], [0.2, -0.3, 0.5], [0.9, -0.2, -0.1], [-0.4, -0.2, 0.0], [0.0, -0.4, -0.5], [0.5, 0.2, 0.6], [-1.4, 0.5, -0.3], [0.3, -0.3, -0.2], [1.4, -0.7, -0.5], [-1.3, 1.2, 0.0], [-0.1, 0.2, -0.3], [0.6, -0.6, 0.7], [-0.1, 0.2, -0.7], [0.4, -0.4, -0.1], [0.0, 0.0, 0.8], [0.1, 0.4, -0.1], [-0.2, -1.1, 0.3], [0.5, -0.2, 0.4], [-0.3, 0.6, 0.1], [-0.1, -0.3, 1.0], [0.5, 0.4, -0.6], [0.1, -0.7, -0.7], [0.1, 0.2, 0.3], [-0.3, 0.0, 1.0], [0.2, 0.1, 0.1], [0.4, 0.9, 0.0], [0.3, -0.3, -0.1], [0.2, 0.1, 0.3], [-0.2, 0.5, 0.0], [0.1, 0.1, 0.4], [0.0, -0.2, 0.3], [-0.5, 0.1, 0.0], [0.0, 0.1, -0.3], [-0.2, -0.3, 0.0], [-0.7, -0.2, -0.3], [0.2, -0.7, 0.0], [0.4, 0.3, -0.3], [-0.2, 0.1, 0.3], [0.5, -0.1, -0.3], [0.3, -0.4, -0.2], [-0.4, -0.1, 0.2], [0.4, 0.0, 0.1], [-0.5, 0.1, -0.2], [0.2, 0.4, -0.3], [0.0, 0.3, 0.4], [0.3, -0.3, 0.1], [-0.2, -0.2, -0.3], [-0.1, 0.4, 0.0], [0.2, 0.4, -0.3], [-0.4, 0.1, -0.8], [0.0, 0.5, -0.1], [-0.2, 0.1, -0.3], [-0
*/

I would drinkbut Iam unfortunatelychainedto a senseof selfpreservation.

You can't always get what you want.

16691669 views77 comments22 favs

Sally was bathing Homeless Hope in her bathtub when the phone rang in the kitchen.

Big Pig News

10161016 views77 comments33 favs

A pig weighing nearly 300 pounds was discovered in the back of a wrecked car in Youngstown, Ohio. The car, a Nissan Cube, was totaled, but Penelope the pig was unscathed. The car, which belongs to Wendy Thrasher, Penelope's owner, was apparently stolen

The Third Leading Cause

821821 views77 comments44 favs

I leave the 29 to go after the 1


940940 views77 comments66 favs

there is a vault in the mountains / that in itself contains infinite vaults

Fungi light/ Fungi Language

553553 views77 comments55 favs

I'm sitting in the dark of my own kitchen, because it is dark outside, not from night but from clouds. I guess that's where I'll start talking from. This isn't about you. I'm not sure it's even about me. It's probably about the…

Their Next

14581458 views77 comments55 favs

The base of the monastery before him, he let her go into a warm updraft and she cascaded out and up, never falling as she rode the tiger into her next.

I stood next to Richie Havens

12941294 views77 comments77 favs

fuck you Charles Bukowski go cry in your eggs in a Jersey diner

Imparting Shots

10341034 views77 comments55 favs

He knows why I’m here, so he stalls, talking about the coffee, about how it’s a new dark blend from a little shop in The Village, about how he loves the flavor, so rich, but just because a coffee is dark doesn’t mean it’s stronger, that, in fact, it’s the

The Lizard King

863863 views77 comments44 favs

Jim Morrison moved ever so slightly in the cold of his grave

Oil Spill Haiku

219219 views77 comments22 favs

a pelican's feather as long as my forearm now a bloodless shaft

Border Town Dawn/There's a Momentary Cloud (Reach for the Sky)

976976 views77 comments55 favs

Border town meant one thing; we were caught up real good in the middle of something preternaturally dangerous; and understanding was at the very least a hundred miles or so away in either direction. All I…

A Gardener in February Thinks About June

13391339 views77 comments77 favs

I want to be that daring gardener who ploughs up her front yard -- to the horror of the Neighborhood Association.


12411241 views77 comments22 favs

She had liked her new husband's sternness, and the way he ran his hands over her body, noticed every inch of it, made her feel not invisible.He traveled during the week, wore cufflinks, worked out in hotel gyms. On the weekends, they redecorated her house and tried to…

And then the Heat Broke

15371537 views77 comments22 favs

She did not know Robert’s skin was sliced and bruised from the twelve pound ball and chain locked to his ankle for sixteen hours that night.

Between Io and Europa

9898 views77 comments55 favs

Ever fallen in love with Simone De Beauvoir?

A Sonata For My Mother

767767 views77 comments77 favs

Because her mother died when she was five.Because a child should not lose her mother at the age of five.Because the nuns dressed her as baby Jesus.Because she wasn't educated past the age of 13.Because she had to stop going to school to work for her aunt who beat her and…

Unknown to Me

12101210 views77 comments44 favs

I don’t want to debate polemics while I’m sweaty and naked. I just want my hair cut.

Unlock the Door, Open Your Heart and Surf the Rifting Singularity

18271827 views77 comments55 favs

1) Tragicomedy set to drama is what the American public fears and abhors. But it's reality, and reality can be subject to the rifling burden of…

Agrarian Joys of Ornamental Lawns

863863 views77 comments66 favs

The leaves/ that clung through February/ fall, dung brown,

+++
Entry from the OMol25 dataset: a structure of composition C28H32F6N10O10RuS6 (ωB97M-V/def2-TZVPD).

ORCA input file:
```
! wB97M-V def2-TZVPD RIJCOSX def2/J DEFGRID3
* xyz 1 6
Ru 0.001 0.232 -0.245
S -3.411 4.119 0.486
S 3.025 -0.278 -1.249
S -3.685 1.249 1.104
S 3.152 -0.974 1.342
S 0.267 2.195 1.666
S -0.844 -2.605 -7.257
F 5.402 -0.127 -2.279
F 3.563 1.592 1.914
F 4.291 -1.890 -2.874
F 3.763 0.046 -3.688
F 5.291 0.567 1.099
F 4.655 0.186 3.129
O -4.154 -3.419 -3.922
O -4.695 -3.007 -1.872
O 0.096 -1.515 -7.126
O 3.528 -2.052 2.195
O 3.159 1.108 -0.889
O 2.449 3.018 -3.088
O 1.777 -0.487 1.445
O 0.526 2.003 -1.596
O -1.954 -2.490 -8.168
O 1.730 -0.658 -1.830
N -1.621 -0.281 -2.030
N -0.406 2.056 4.195
N -1.390 3.250 -1.159
N -0.932 -0.596 1.906
N -4.031 -2.816 -2.870
N -1.817 2.202 -0.505
N 3.524 -1.299 -0.163
N -2.289 -1.326 -3.862
N -0.931 0.199 3.010
N -0.350 -2.155 -0.171
C 1.581 4.018 -3.267
C -1.818 -2.491 3.251
C -2.389 -1.673 -5.284
C -2.859 2.504 0.262
C -0.491 5.237 -2.866
C -0.145 3.033 -1.775
C -0.106 -2.908 -1.243
C -0.377 1.443 2.995
C 4.240 0.453 1.896
C 4.212 -0.592 -2.611
C -1.134 -2.650 0.793
C -1.738 -3.892 0.688
C -5.106 2.294 1.516
C -4.562 3.675 1.813
C 0.052 -4.090 -7.611
C -1.419 -0.434 -3.338
C -1.511 -2.879 -5.634
C -0.392 0.288 -4.139
C -3.075 -1.753 -2.810
C -2.662 -1.096 -1.702
C -0.664 -4.165 -1.420
C 0.937 -3.881 -8.836
C 1.973 5.033 -4.141
C -1.512 -4.656 -0.447
C -1.297 -1.814 2.017
C 0.320 4.102 -2.630
C -0.087 6.231 -3.716
C 1.153 6.115 -4.359
H 1.480 6.895 -5.035
H -0.745 1.294 -4.380
H -5.778 2.304 0.659
H 2.938 4.944 -4.622
H -2.089 -0.792 -5.846
H -0.655 -2.952 -4.961
H -0.427 -4.741 -2.304
H -5.612 1.850 2.371
H -1.444 5.302 -2.362
H 0.097 2.924 4.276
H -0.715 7.093 -3.890
H 1.525 -4.780 -9.011
H 0.559 -2.477 -1.979
H -2.860 -2.779 3.099
H 1.616 -3.044 -8.684
H 0.632 -4.324 -6.716
H -0.156 -0.222 -5.072
H -1.248 -3.399 3.446
H 0.516 0.383 -3.547
H -0.705 -4.858 -7.772
H 0.336 -3.685 -9.722
H -3.426 -1.880 -5.517
H -2.080 -3.807 -5.629
H -5.354 4.423 1.837
H -1.986 -5.622 -0.557
H 2.132 2.417 -2.387
H -1.184 -0.204 3.899
H -3.051 -1.193 -0.702
H -4.019 3.696 2.758
H -2.381 -4.264 1.471
H -1.783 -1.888 4.152
H -0.616 1.561 5.046
*
```

Results
- gap between HOMO and LUMO (spin up / spin down) (eV) = 7.532 / 5.942
- HOMO (spin up / spin down) (eV) = -10.6783 / -10.7407
- electronic energy (Ha) = -5469.01390
- max |F| (hartree/bohr) = 0.0137
- expectation value of S² = 8.77


Entry from the OMol25 dataset: a cluster of 9 separate species, C28H32F8O25 in total (ωB97M-V/def2-TZVPD).

ORCA input file:
```
! wB97M-V def2-TZVPD RIJCOSX def2/J DEFGRID3
* xyz 0 1
F 5.604 -0.121 -0.222
F 0.341 -1.961 0.588
F -3.490 -5.455 4.208
F -4.091 -2.965 -0.983
F 0.652 4.789 -0.307
F -3.581 0.831 -5.950
F 4.960 0.762 -2.975
F 1.693 -0.097 5.813
O -1.504 -0.928 0.089
O 3.661 -1.071 -0.931
O -2.521 -3.384 2.705
O -2.064 -0.448 4.354
O 2.312 -2.341 -2.301
O 2.763 0.928 -2.659
O -4.414 -4.254 2.386
O 0.132 -0.594 3.657
+++
## End of the data records

The Day the Internet Disappeared

12841284 views77 comments44 favs

Myrna woke up with a start and sensed a strange silence in the air. She quickly flipped on an electric switch and when the lights came on she breathed a sigh of relief. Dawn was just breaking so she went back to bed and pulled the comforter over her head.

Improvisation on a Theme of Absolute Absence

12061206 views77 comments66 favs

Perhaps nothing has never existed;/ perhaps something always has

Two Takes on a Flickering Moth

991991 views77 comments66 favs

Take 1. The Love Letter to an Unspoken Name Well we're beyond our appointed Moment now. We must step On what's left, alone, but That begs some explanation to These days that pinball between Stars and to the sad dreamers…

Comes After Cato

16591659 views77 comments44 favs

When they called him down there to the morgue to identify the body, he drove behind the wheel of his truck like some steady maniac on a long haul. The Ford 150 cried out for new shocks, but that hardly mattered. Mud plastered side panels and…

Frail Flowers, Sitting Monks

981981 views77 comments44 favs

The world is slick as alabaster, taking the guesswork out of the rain. Junction Road moves like thick grease under the tires of my '89 Skyhawk. The old car's making a clicking noise somewhere underneath the high-beam switch and the damn…

The Grid

939939 views77 comments55 favs

From this fundamental simplicity,/ houses, cities, regions./ A nebula stretches across the grid.

Urban Renewal

16061606 views77 comments33 favs

Bike shops, vintage shops, after hour bar shops

Shiny Dime

893893 views77 comments77 favs

I saw the shiny dime . . . .

I Ain't Your Kissin' Cousin - song

11401140 views77 comments66 favs

I ain’t your kissing cousin That’s pretty plain to see Baby, keep your pretty lips Far away from me I ain’t your kissing cousin That’s pretty plain to see You’re really very pretty Come kiss me and we’ll see We don’t live in a barnyard

The Madwoman Who Called on My Wedding Day

10281028 views77 comments44 favs

These quantum chemistry results were left in the page by mistake =
#1
Molecular formula: CH4N4O
Method: DFT, ωB97M-V with the def2-TZVPD basis set

Summary:
- Lowest unoccupied orbital energy: 0.70 eV
- Structure (SMILES): [O-][N+]1=NNNC1
- Highest occupied orbital energy: -0.32209 Eh
- Gap between HOMO and LUMO: 9.46 eV

Cartesian coordinates (Å):
1 O -2.21125 0.74042 0.07095
2 N -0.90389 -1.17395 0.00523
3 N -1.18648 0.05372 0.02777
4 N 0.44760 -1.41437 0.17252
5 N 1.09958 -0.10865 0.24598
6 C 0.05860 0.85268 0.15616
7 H 0.93417 -1.81520 -0.60453
8 H -0.02773 1.41254 1.01597
9 H -0.00123 1.45831 -0.68434
10 H 1.79063 -0.00551 -0.40571

The net atomic charges from natural (NBO), expressed in e, are:
1 O -0.45
2 N -0.08
3 N 0.32
4 N -0.28
5 N -0.50
6 C -0.12
7 H 0.36
8 H 0.20
9 H 0.20
10 H 0.36

#2
Molecular formula: CH4N4O
Method: DFT, ωB97M-V with the def2-TZVPD basis set

Summary:
- Lowest unoccupied orbital energy: 0.76 eV
- Structure (SMILES): CN1N=NON1
- Highest occupied orbital energy: -0.30206 Eh
- Gap between HOMO and LUMO: 8.98 eV

Cartesian coordinates (Å):
1 O 2.01005 0.83354 -0.12393
2 N 0.07599 -0.15456 0.20431
3 N 0.62046 1.15001 -0.20986
4 N 0.95255 -1.02556 0.36676
5 N 2.16948 -0.57541 0.08250
6 C -1.36019 -0.30826 0.20909
7 H -1.43277 -1.38039 -0.17763
8 H -1.63324 -0.09872 1.21162
9 H -1.90578 0.36640 -0.38851
10 H 0.50344 1.19295 -1.17435

The net atomic charges from natural (NBO), expressed in e, are:
1 O -0.29
2 N -0.09
3 N -0.18
4 N 0.00
5 N -0.01
6 C -0.42
7 H 0.23
8 H 0.22
9 H 0.22
10 H 0.32

Q: Which of them is the most stable? A: #1.

#1
Molecular formula: H21O11
Method: DFT, ωB97M-V with the def2-TZVPD basis set

Summary:
- Lowest unoccupied orbital energy: 2.86 eV
- Highest occupied orbital energy: -0.22496 Eh
- Gap between HOMO and LUMO: 8.98 eV
- Total charge: -1

Cartesian coordinates (Å):
1 O 0.13897 0.34511 1.24337
2 O 2.95591 -1.61765 0.00729
3 O -3.55715 -0.74046 -2.33501
4 O 2.85578 0.35679 1.08336
5 O 1.17381 -3.20649 1.17573
6 O -0.93644 1.69298 -4.36486
7 O -3.55341 0.52675 0.58142
8 O -0.62843 2.61016 -0.02241
9 O -1.08241 -1.33835 2.21770
10 O 0.89156 -0.04479 -2.56097
11 O 1.66503 1.73122 2.74124
12 H 1.80377 -0.06358 -2.67395
13 H -0.97088 -0.25777 2.08020
14 H 0.44872 -3.14844 1.79480
15 H -4.22478 -1.46012 -2.64227
16 H 1.37315 -2.33443 0.75892
17 H -0.27129 1.27438 -3.71142
18 H 0.02242 1.90568 0.45055
19 H 2.00784 0.31448 0.63162
20 H 1.97664 1.27881 3.43655
21 H -3.06698 -0.21582 1.02082
22 H 0.69758 -0.41186 1.52884
23 H -2.90059 0.83905 -0.04155
24 H -3.51866 -1.16094 -1.51838
25 H 3.00628 1.33747 1.16630
26 H -1.78756 1.37065 -4.16797
27 H -1.66902 -1.58070 2.88183
28 H 3.30724 -2.44101 0.36889
29 H 0.95520 0.19709 -1.63813
30 H 3.76839 -1.07820 0.08465
31 H 1.00526 1.18179 2.06283
32 H -1.34862 1.93123 -0.00801

The net atomic charges from natural (NBO), expressed in e, are:
1 O -1.20
2 O -0.96
3 O -0.91
4 O -0.99
5 O -1.00
6 O -0.98
7 O -0.95
8 O -0.98
9 O -1.06
10 O -0.93
11 O -1.06
12 H 0.46
13 H 0.53
14 H 0.49
15 H 0.45
16 H 0.50
17 H 0.51
18 H 0.51

She’d reached me after running through the directory, alphabetically. Apparently no one in the a’s or b’s or c’s before me would talk to her.